-- Source --
- - -
DFT (GGA-PBE) results for an optimized crystal structure of Zn4Se5.

The structure in POSCAR format:
```
Zn4Se5
1.0
7.4918 0.0000 0.0000
-3.7459 6.4881 0.0000
0.0000 0.0000 7.4873
Se Zn
10 8
Cartesian
3.7459 2.1627 0.0000
0.0000 4.3254 0.0000
-2.8055 4.8593 1.8718
2.8055 4.8593 5.6155
5.6111 0.0000 1.8718
0.9403 1.6287 1.8718
3.7459 2.1627 3.7437
-0.9403 1.6287 5.6155
1.8807 0.0000 5.6155
0.0000 4.3254 3.7437
-1.5579 2.6984 1.8718
3.1159 0.0000 1.8718
-2.1879 3.7896 5.6155
0.0000 0.0000 0.0000
1.5579 2.6984 5.6155
0.0000 0.0000 3.7437
4.3759 0.0000 5.6155
2.1879 3.7896 1.8718
```

## Properties
DOS(E_F) = 15.76 states/eV/cell
Distance to the lowest polymorph of the same formula = 0 meV per atom
DFT total energy = -2.543 eV/atom
Uncorrected formation energy = -0.041 eV per atom

* * * * *

1.
VASP calculation (PBE) on a relaxed structure of Ca3MgGa.

Cell and atoms, written as POSCAR:
```
Ca3MgGa
1.0
2.686 -10.432 0.000
2.686 10.432 0.000
0.000 0.000 5.372
Ca Mg Ga
6 2 2
Direct
0.070 0.930 0.750
0.250 0.750 0.750
0.430 0.570 0.750
0.570 0.430 0.250
0.750 0.250 0.250
0.930 0.070 0.250
0.160 0.840 0.250
0.840 0.160 0.750
0.340 0.660 0.250
0.660 0.340 0.750
```

Results
relative energy among the computed polymorphs	0.000	eV/atom
space group	Cmcm, No. 63
M_tot	0.0000	μB/atom
final energy	-2.339	eV/atom


2.
VASP calculation (PBE) on a relaxed structure of CaMg4Ga2.

Cell and atoms, written as POSCAR:
```
CaMg4Ga2
1.0
8.436 0.000 0.000
0.000 8.436 0.000
0.000 0.000 4.520
Ca Mg Ga
2 8 4
Direct
0.000 0.000 0.000
0.500 0.500 0.500
0.093 0.340 0.500
0.160 0.593 0.000
0.340 0.093 0.500
0.407 0.840 0.000
0.593 0.160 0.000
0.660 0.907 0.500
0.840 0.407 0.000
0.907 0.660 0.500
0.218 0.782 0.500
0.282 0.282 0.000
0.718 0.718 0.000
0.782 0.218 0.500
```

Results
space group	P4_2/mnm, No. 136
M_tot	0.0000	μB/atom
final energy	-2.280	eV/atom


3.
VASP calculation (PBE) on a relaxed structure of CaMg2Ga2.

Cell and atoms, written as POSCAR:
```
CaMg2Ga2
1.0
8.279 0.000 0.000
0.000 8.279 0.000
0.000 0.000 3.153
Ca Mg Ga
2 4 4
Direct
0.000 0.000 0.000
0.500 0.500 0.000
0.126 0.374 0.000
0.374 0.874 0.000
0.626 0.126 0.000
0.874 0.626 0.000
0.173 0.673 0.500
0.327 0.173 0.500
0.673 0.827 0.500
0.827 0.327 0.500
```

Results
space group	P4/mbm, No. 127
M_tot	0.0000	μB/atom
final energy	-2.453	eV/atom
- - -

-- Exercise --
Your job: work out how many lines further above have the word "formula" in them; a number is enough.

-- Outcome --
1